Listing
-- begin --
# C30H25AsGeN2OsS2

C30H25AsGeN2OsS2 as an isolated structure in a non-equilibrium geometry (ωB97M-V/def2-TZVPD, the OMol25 dataset).

Last column: Löwdin charge in e.
CARTESIAN COORDINATES (ANGSTROEM)
Os 0.185 0.259 -0.159  0.50
S -1.368 -1.364 -0.656  0.59
C -2.883 -0.534 -0.357  -0.67
C -4.054 -1.283 -0.225  -0.05
C -5.272 -0.665 -0.016  -0.19
C -6.461 -1.458 0.141  -0.18
N -7.404 -2.101 0.273  0.17
C -5.336 0.740 0.049  -0.19
C -4.176 1.480 -0.088  -0.05
C -2.944 0.853 -0.284  -0.68
S -1.508 1.828 -0.475  0.58
C -6.589 1.412 0.266  -0.18
N -7.576 1.973 0.441  0.17
H -4.003 -2.363 -0.287  0.12
H -4.218 2.561 -0.041  0.12
C 0.226 3.531 2.341  -0.23
Ge 0.997 1.749 2.608  0.71
C 2.806 1.753 1.845  -0.24
C 1.070 1.395 4.531  -0.22
C -0.008 0.325 1.688  -0.45
H 0.882 4.269 2.804  0.02
H -0.759 3.598 2.803  0.02
H 0.123 3.757 1.281  0.00
H 3.497 2.354 2.436  0.03
H 2.786 2.167 0.832  0.00
H 3.194 0.734 1.792  0.00
H 1.620 2.202 5.016  0.02
H 1.570 0.451 4.747  0.02
H 0.066 1.361 4.955  0.02
H -0.940 0.008 2.162  0.00
C 2.058 -2.349 -5.158  -0.08
C 2.806 -2.985 -4.176  -0.08
C 2.959 -2.399 -2.929  -0.09
C 2.349 -1.180 -2.659  -0.38
C 1.596 -0.546 -3.641  -0.13
C 1.458 -1.127 -4.894  -0.08
As 2.492 -0.317 -0.924  1.21
C 4.336 0.273 -1.005  -0.30
C 4.833 1.328 -1.750  -0.08
C 6.201 1.566 -1.758  -0.08
C 7.049 0.748 -1.023  -0.07
C 6.543 -0.308 -0.279  -0.01
C 5.176 -0.559 -0.264  -0.19
C 4.504 -1.662 0.453  -0.21
C 5.100 -2.569 1.323  -0.02
C 4.323 -3.529 1.951  -0.07
C 2.951 -3.590 1.731  -0.07
C 2.348 -2.689 0.864  -0.09
C 3.132 -1.744 0.222  -0.34
H 1.939 -2.811 -6.129  0.10
H 3.270 -3.941 -4.383  0.11
H 3.547 -2.892 -2.164  0.10
H 1.112 0.402 -3.430  0.09
H 0.880 -0.628 -5.661  0.11
H 4.164 1.957 -2.323  0.11
H 6.603 2.385 -2.340  0.11
H 8.115 0.932 -1.037  0.11
H 7.220 -0.944 0.277  0.11
H 6.163 -2.521 1.523  0.11
H 4.788 -4.228 2.635  0.11
H 2.348 -4.326 2.248  0.11
H 1.278 -2.706 0.696  0.08

Cartesian forces (eV/Å) of the 6 atoms listed first:
Os -1.806 1.279 1.773
S 0.933 0.789 0.136
C -0.166 -0.245 -0.119
C 0.022 -0.085 -0.049
C -0.071 0.033 0.008
C 0.091 0.039 -0.005

Calculated values
- Electronic energy: -175986.656 eV
- Strongest force on any atom: 2.84 eV Å⁻¹
- Energy relative to the best compared isomer or geometry (same formula, charge and spin): 133.94 kJ/mol
- Gap between HOMO and LUMO (spin up / spin down): 6.36 / 6.35 eV

~~~~~

Entry 1:
The ion C7H11N4 with charge +1 in a non-equilibrium geometry, computed with ωB97M-V/def2-TZVPD.

The geometry in XYZ format:
```
22
Properties=species:S:1:pos:R:3:forces:R:3:mulliken_charge:R:1
N -2.846 -1.083 0.714 0.34 1.84 -1.17 0.010
N -3.144 0.831 -0.450 -1.19 -1.83 -0.18 -0.614
N -1.123 1.939 -0.110 0.91 1.08 -0.12 -0.044
N 1.137 1.238 0.034 -0.64 1.34 0.08 -0.147
C -1.746 -0.323 0.839 2.33 0.10 0.93 -0.386
C 2.365 -0.824 0.401 -2.35 1.35 1.72 -1.169
C 0.538 -0.730 -1.334 -2.70 -1.10 -2.37 -0.658
C -3.652 -0.354 -0.130 -3.50 -0.91 0.21 -0.251
C 1.268 -0.067 -0.487 2.66 -1.06 2.97 0.484
C 0.161 2.171 -0.017 0.88 -3.43 0.10 -0.049
C -1.929 0.821 0.125 0.01 -0.25 -0.19 0.359
H 1.737 -1.666 0.838 1.51 0.87 -0.27 0.248
H -0.902 -0.677 1.403 0.11 0.12 0.08 0.406
H -0.434 -0.334 -1.770 1.57 -0.26 0.38 0.283
H -4.743 -0.771 -0.307 2.57 1.31 -0.01 0.328
H -2.866 -1.979 1.152 -0.82 -0.51 -0.14 0.224
H 3.244 -1.124 -0.063 1.13 -1.10 -1.54 0.385
H 2.843 -0.177 1.242 -1.46 -0.86 -1.12 0.325
H 0.498 3.153 0.059 0.25 1.68 0.06 0.433
H 2.002 1.551 0.482 -0.46 0.07 -0.49 0.257
H -1.565 2.798 -0.397 -1.10 -0.11 0.17 0.299
H 0.759 -1.791 -1.686 -0.02 1.65 0.89 0.279
```
Positions in Å, forces in eV/Å.

## Properties
Energy relative to the best compared isomer or geometry (same formula, charge and spin), kJ/mol: 224.9
SMILES: C=C(C)/[NH+]=C\Nc1c[nH]cn1
Energy, hartree: -492.06656
E_HOMO, eV: -12.7
Frontier orbital gap, eV: 8.70
Total charge: +1

***

Entry 2:
The ion C7H11N4 with charge +1 in a non-equilibrium geometry, computed with ωB97M-V/def2-TZVPD.

The geometry in XYZ format:
```
22
-- stop --
Exercise
Could you transcribe every line above that contains the word "ANGSTROEM"?
Outcome
CARTESIAN COORDINATES (ANGSTROEM)